Material Topographies is a data-driven, civic art mapping project capturing Reclaimer’s movement, impact, and experiences.

Photograph by Zivanai Matagni
Johannesburg is a city propped up by entrepreneurs. Be it beauticians, traders, or car washers the life and livelihood of the city happens on pavements and streets - open to the hustle and motion around them. In Material Topographies we want to explore this movement and exposure of the city through the experiences of waste management entrepreneurs, known as Reclaimers. Navigating the city in search of salvageable materials – often for tens of kilometres per day, and applying their skills to divert waste from landfills, Reclaimers represent the city’s flow, it’s entrepreneurial spirit of bootstrapping, and it’s harsh economic and environmental realities.
According to the African Reclaimers Organization (ARO), Reclaimers are “responsible for collecting over 90% of all materials that are recycled in South Africa,” closing a significant gap on the low levels of household recycling in the country. Despite the fact that the work Reclaimers do saves South African municipalities up to R750 million a year (EU 37 million), and makes our recycling rates comparable to Europe, Reclaimers are not compensated appropriately for their time, skills, or environmental contributions. Often, their only income is from the sale of waste and they have no protections against the physical risks they face, no health insurance, no workers compensation, and no reliable wage for the service they provide.
At its most simple, Material Topographies is a data-driven, civic art mapping project which captures Reclaimer’s daily journeys, the types of material they collect, the distance they travel, and their daily experiences. For this project, we have worked with Reclaimers to develop two limited edition maps that bring attention to the mechanisms and processes behind Reclaimer’s work, and the heavy lifting they do for the city of Johannesburg. Over a period of five days, this information was collected by a team of Reclaimers who received a stipend of R2 500 to carry a GPS device with them while they work, collect receipts, and write in a journal.
Through the journals, we were able to connect with and capture the more emotional and human side of waste reclamation work. A pattern that emerged across all the journals was that time put into work did not mean the got a reliable income - this stress of instability was reflected in each Reclaimer’s writings. In the journals, one of the Reclaimers mentioned that they, unlike the other Reclaimers, had not been able to afford a trolley to transport their materials. This limitation was reflected in their daily income, as even though they covered a further distance than the other Reclaimers each day, they earned the least over the week - on one day earning only R13.50.
‘Someone just destroyed my day by assaulting me on the road. When some people see me doing recycling they think I’m crazy or taking substances or drugs. But I don’t care what they say, I still do my work.’
Another big source of stress for the Reclaimers was their interactions on the street. In one case a Reclaimer had significant swelling on their leg after being knocked by a truck, but still carried on working the next day. In another case, a Reclaimer experienced assault, describing it saying ‘someone just destroyed my day by assaulting me on the road. When some people see me doing recycling they think I’m crazy or taking substances or drugs. But I don’t care what they say, I still do my work.’
Over the 5 days of data collection, the team of Reclaimers diverted an estimated 2441.94 kg of material from landfill, by covering an area of 7.16km2. The materials salvaged included: polyethylene terephthalate (PET) clear; PET green; polypropylene (PP); green glass bottles; H1 I; K4 cardboard; aluminium cans; steel (processed, and subgrade); white paper; steel wire; heavy duty bottles; and light steel. We chose to represent this immense work through maps using Tableau. Below you can explore what each Reclaimer’s days and week look like both individually and collectively:
Through a long process of masking and tracing, we remodelled the above maps into visually striking depictions of the areas that the Reclaimers service. By overlaying each Reclaimer’s weekly journey and displaying them in similar tones, we hoped to communicate the Reclaimer’s oneness - how, although they act separately from one another, they work for the same cause and goal.
Over 5 days, the team of Reclaimers diverted an estimated 2441.94 kg of material from landfill.
____________
This record from Alexandria via LeMat-Bulk describes Li2TlFe at its PBEsol-relaxed geometry. The functional is SCAN.

Properties
- Density of states at the Fermi level: 0.36 states/eV/atom
- Formation enthalpy at 0 K: 0.119 eV per atom
- E: -23.698 eV/atom

```
Li2TlFe
1.0
2.880 0.000 0.000
0.000 4.662 0.000
-0.545 0.000 4.822
Li Tl Fe
2 1 1
direct
0.248 0.000 0.267
0.752 0.000 0.733
0.500 0.500 0.000
0.000 0.500 0.500
```

This record from Alexandria via LeMat-Bulk describes LiTl4Fe at its PBEsol-relaxed geometry. The functional is SCAN.

Properties
- Density of states at the Fermi level: 1.17 states/eV/atom
- Formation enthalpy at 0 K: 0.588 eV per atom
- E: -51.071 eV/atom

```
LiTl4Fe
1.0
0.000 4.315 4.315
4.315 0.000 4.315
4.315 4.315 0.000
Li Tl Fe
1 4 1
direct
0.000 0.000 0.000
0.375 0.375 0.375
0.375 0.375 0.874
0.375 0.874 0.375
0.874 0.375 0.375
0.750 0.750 0.750
```

This record from Alexandria via LeMat-Bulk describes Li2TlFe at its PBEsol-relaxed geometry. The functional is SCAN.

Properties
- Density of states at the Fermi level: 0.21 states/eV/atom
- Formation enthalpy at 0 K: 0.036 eV per atom
- E: -23.781 eV/atom

```
Li2TlFe
1.0
-1.908 1.908 4.417
1.908 -1.908 4.417
1.908 1.908 -4.417
Li Tl Fe
2 1 1
direct
0.250 0.750 0.500
0.750 0.250 0.500
0.000 0.000 0.000
0.500 0.500 0.000
```

This record from Alexandria via LeMat-Bulk describes LiFeW at its PBEsol-relaxed geometry. The functional is SCAN.

Properties
- Density of states at the Fermi level: 0.72 states/eV/atom
- Formation enthalpy at 0 K: 1.577 eV per atom
- ΔE to the lowest computed polymorph: 1.195 eV per atom
- E: -28.492 eV/atom

```
LiFeW
1.0
0.000 2.648 2.648
2.648 0.000 2.648
2.648 2.648 0.000
Li Fe W
1 1 1
direct
0.000 0.000 0.000
0.250 0.250 0.250
0.750 0.750 0.750
```

Total moment, record by record: 0.6742; 0.5309; 0.7733; 0.0007 μB/atom

=====

Below is DyZrAs2Rh5 after structural relaxation, with properties calculated at the GGA-PBE level.

The structure in extended XYZ format:
```
9
Lattice="4.175 0.000 0.000 0.000 4.175 0.000 0.000 0.000 8.760" Properties=species:S:1:pos:R:3 pbc="T T T"
Dy 0.000 0.000 4.380
As 2.087 2.087 1.212
As 2.087 2.087 7.549
Zr 0.000 0.000 0.000
Rh 0.000 2.087 2.309
Rh 2.087 2.087 4.380
Rh 2.087 0.000 6.451
Rh 2.087 0.000 2.309
Rh 0.000 2.087 6.451
```

Results
* N(E_F): 6.76 states/eV per cell
* DFT total energy: -7.2105 eV/atom
* calculated formation energy: -0.632 eV/atom
____________
Our work culminated into two series of limited edition prints on cotton paper. By creating artistic representations of Reclaimer’s work to be held in people's homes or work-spaces, we hope they will serve not just as reminders of the incredible environmental impact of Reclaimers and the insufficient remuneration they receive for their back-breaking work, but also as provocations to rethink what we consider as “waste.” In demonstrating the value of what we traditionally discard, we can highlight the thousands of livelihoods built around material management in Johannesburg. We intend for Material Topographies to broaden the conversation around extending the life cycle of discarded materials, and the people who manage our waste. Showing the Reclaimers journey in relation to motion of the city, we can see the positive impacts more expansive waste intervention can have at each level by nurturing civic-engagement, environmentalism, and supporting our informal economies. The prints are an edition of 22 and the bag prints are an edition of 5. These works were screenprinted on a cotton-paper by Flood House at Victoria Yards, Johannesburg.
This project is in partnership with the Goethe-Institut South Africa as part of the Goethe-Institut Project Space (GPS). The overall goal for Material Topographies is to bring awareness to the journey of discarded materials through our city, the significance of Reclaimer-input into the material management system, and the fundamental need for Reclaimer-informed decision making as we work towards an environmentally inclusive future.